**What to do**
Please write out the contents below from the line with "0.662" to the end without altering anything.

**Given**
Na3Zr2Zn2P3S3O24 | PBE | optimized geometry

Cell lengths 8.893, 8.880, 22.989 Å; angles 90.11, 89.83, 119.89 degrees
Atoms (fractional coordinates):
O  0.218  0.032  0.309
O  0.838  0.311  0.243
O  0.356  0.874  0.865
O  0.844  0.548  0.028
O  0.475  0.161  0.243
O  0.180  0.971  0.198
O  0.877  0.360  0.635
O  0.311  0.837  0.258
O  0.687  0.527  0.244
O  0.193  0.174  0.089
O  0.820  0.788  0.305
O  0.366  0.505  0.077
O  0.789  0.818  0.194
O  0.822  0.801  0.589
O  0.492  0.137  0.921
O  0.528  0.690  0.257
O  0.489  0.131  0.634
O  0.491  0.361  0.134
O  0.513  0.642  0.866
O  0.473  0.313  0.743
O  0.975  0.176  0.589
O  0.514  0.875  0.365
O  0.161  0.472  0.257
O  0.310  0.853  0.970
O  0.865  0.507  0.423
O  0.161  0.689  0.757
O  0.865  0.356  0.922
O  0.968  0.182  0.306
O  0.309  0.458  0.470
O  0.124  0.641  0.365
O  0.802  0.824  0.911
O  0.027  0.200  0.911
O  0.548  0.693  0.971
O  0.179  0.982  0.912
O  0.822  0.018  0.089
O  0.697  0.549  0.530
O  0.802  0.978  0.411
O  0.356  0.856  0.577
O  0.491  0.356  0.421
O  0.135  0.490  0.577
O  0.528  0.839  0.757
O  0.218  0.186  0.809
O  0.638  0.132  0.422
O  0.150  0.453  0.969
O  0.819  0.034  0.806
O  0.311  0.474  0.758
O  0.967  0.785  0.806
O  0.970  0.805  0.090
O  0.794  0.972  0.696
O  0.143  0.647  0.078
O  0.356  0.483  0.365
O  0.451  0.148  0.525
O  0.028  0.821  0.696
O  0.853  0.306  0.530
O  0.150  0.695  0.469
O  0.177  0.206  0.698
O  0.637  0.505  0.921
O  0.689  0.161  0.743
O  0.449  0.301  0.024
O  0.512  0.864  0.077
O  0.695  0.147  0.030
O  0.179  0.197  0.412
O  0.873  0.512  0.136
O  0.838  0.525  0.741
O  0.643  0.518  0.635
O  0.027  0.826  0.411
O  0.508  0.641  0.577
O  0.546  0.852  0.470
O  0.193  0.022  0.589
O  0.028  0.207  0.196
O  0.641  0.122  0.135
O  0.125  0.483  0.865
Na  0.003  0.998  0.998
Na  0.676  0.334  0.834
Na  0.321  0.661  0.163
Na  0.333  0.298  0.917
Na  0.996  0.000  0.498
Na  0.334  0.672  0.663
Na  0.662  0.690  0.081
Na  0.675  0.340  0.334
Na  0.332  0.034  0.417
P  0.376  0.037  0.580
P  0.293  0.002  0.254
P  0.997  0.288  0.252
P  0.714  0.001  0.751
P  0.376  0.336  0.080
P  0.962  0.624  0.081
P  0.713  0.713  0.251
P  0.996  0.708  0.752
P  0.289  0.289  0.753
Zr  0.012  0.005  0.149
Zr  0.660  0.325  0.687
Zr  0.006  0.000  0.648
Zr  0.670  0.341  0.187
Zr  0.333  0.670  0.811
Zr  0.332  0.663  0.312
Zn  0.335  0.674  0.519
Zn  0.994  0.000  0.344
Zn  0.316  0.658  0.019
Zn  0.993  0.995  0.844
Zn  0.665  0.333  0.486
Zn  0.672  0.339  0.987
S  0.629  0.670  0.919
S  0.629  0.959  0.418
S  0.038  0.664  0.418
S  0.961  0.337  0.581
S  0.663  0.624  0.582
S  0.334  0.960  0.919
S  0.333  0.375  0.419
S  0.664  0.040  0.082
S  0.038  0.372  0.918

Summary:
Total DFT energy (no corrections) (eV/atom): -6.71
Magnetic moment (μB/f.u.): 0.000
Energy relative to the elements (eV/atom): -2.533
Space group: P1

=====

Na5Zr2Zn2P5SO24 | PBE | optimized geometry

Cell lengths 9.038, 9.045, 22.542 Å; angles 90.27, 89.96, 120.04 degrees
Atoms (fractional coordinates):
O  0.849  0.315  0.533
O  0.306  0.843  0.252
O  0.479  0.324  0.743
O  0.525  0.841  0.465
O  0.467  0.308  0.034
O  0.641  0.509  0.921
O  0.493  0.360  0.422
O  0.315  0.863  0.976
O  0.792  0.969  0.696
O  0.363  0.472  0.360
O  0.848  0.535  0.032
O  0.131  0.479  0.864
O  0.830  0.029  0.089
O  0.470  0.154  0.533
O  0.493  0.144  0.922
O  0.529  0.885  0.354
O  0.220  0.184  0.805
O  0.018  0.830  0.414
O  0.681  0.519  0.245
O  0.310  0.475  0.756
O  0.976  0.180  0.305
O  0.968  0.790  0.806
O  0.206  0.021  0.303
O  0.636  0.115  0.144
O  0.892  0.529  0.144
O  0.466  0.153  0.247
O  0.168  0.980  0.913
O  0.802  0.820  0.200
O  0.680  0.154  0.745
O  0.828  0.807  0.586
O  0.149  0.679  0.466
O  0.029  0.822  0.696
O  0.317  0.462  0.467
O  0.820  0.029  0.806
O  0.844  0.525  0.744
O  0.165  0.473  0.255
O  0.193  0.023  0.587
O  0.647  0.141  0.422
O  0.146  0.652  0.078
O  0.807  0.775  0.311
O  0.527  0.647  0.862

**Solution**
Na  0.662  0.690  0.081
Na  0.675  0.340  0.334
Na  0.332  0.034  0.417
P  0.376  0.037  0.580
P  0.293  0.002  0.254
P  0.997  0.288  0.252
P  0.714  0.001  0.751
P  0.376  0.336  0.080
P  0.962  0.624  0.081
P  0.713  0.713  0.251
P  0.996  0.708  0.752
P  0.289  0.289  0.753
Zr  0.012  0.005  0.149
Zr  0.660  0.325  0.687
Zr  0.006  0.000  0.648
Zr  0.670  0.341  0.187
Zr  0.333  0.670  0.811
Zr  0.332  0.663  0.312
Zn  0.335  0.674  0.519
Zn  0.994  0.000  0.344
Zn  0.316  0.658  0.019
Zn  0.993  0.995  0.844
Zn  0.665  0.333  0.486
Zn  0.672  0.339  0.987
S  0.629  0.670  0.919
S  0.629  0.959  0.418
S  0.038  0.664  0.418
S  0.961  0.337  0.581
S  0.663  0.624  0.582
S  0.334  0.960  0.919
S  0.333  0.375  0.419
S  0.664  0.040  0.082
S  0.038  0.372  0.918

Summary:
Total DFT energy (no corrections) (eV/atom): -6.71
Magnetic moment (μB/f.u.): 0.000
Energy relative to the elements (eV/atom): -2.533
Space group: P1

=====

Na5Zr2Zn2P5SO24 | PBE | optimized geometry

Cell lengths 9.038, 9.045, 22.542 Å; angles 90.27, 89.96, 120.04 degrees
Atoms (fractional coordinates):
O  0.849  0.315  0.533
O  0.306  0.843  0.252
O  0.479  0.324  0.743
O  0.525  0.841  0.465
O  0.467  0.308  0.034
O  0.641  0.509  0.921
O  0.493  0.360  0.422
O  0.315  0.863  0.976
O  0.792  0.969  0.696
O  0.363  0.472  0.360
O  0.848  0.535  0.032
O  0.131  0.479  0.864
O  0.830  0.029  0.089
O  0.470  0.154  0.533
O  0.493  0.144  0.922
O  0.529  0.885  0.354
O  0.220  0.184  0.805
O  0.018  0.830  0.414
O  0.681  0.519  0.245
O  0.310  0.475  0.756
O  0.976  0.180  0.305
O  0.968  0.790  0.806
O  0.206  0.021  0.303
O  0.636  0.115  0.144
O  0.892  0.529  0.144
O  0.466  0.153  0.247
O  0.168  0.980  0.913
O  0.802  0.820  0.200
O  0.680  0.154  0.745
O  0.828  0.807  0.586
O  0.149  0.679  0.466
O  0.029  0.822  0.696
O  0.317  0.462  0.467
O  0.820  0.029  0.806
O  0.844  0.525  0.744
O  0.165  0.473  0.255
O  0.193  0.023  0.587
O  0.647  0.141  0.422
O  0.146  0.652  0.078
O  0.807  0.775  0.311
O  0.527  0.647  0.862